What is Mars Polar Lander going to find when it touches down on December 3rd? The Mars Global Surveyor (MGS) Mars Orbiter Camera (MOC) has been providing some spectacular previews. The following series of 7 figures illustrates the variety of surface textures, terrains, and geologic features that are found in the landing ellipse located at 76°S 195°W. It is now late southern spring, and the frost that covered this region for most of 1999 has gone away.
The focus here is upon a "tour" of a single MOC image obtained on November 26, 1999. In each figure below, the landing ellipse appears as a blue outline, the MOC image is drawn in orange, and the portion of the MOC image generally illustrated in each figure is yellow. The November 26th MOC image covers approximately 120 sq. km (75 sq. miles) of the central portion of the landing ellipse. The image is 3 km (1.9 mi) wide by 40 km (25 mi) long and has a resolution of about 4 meters (13 feet) per pixel. In each view, south is toward the top and the sun illuminates each scene from the lower right. The scale bar in each picture, 250 meters, is equal to 273 yards (820 ft).
~~~
[1]
Computed XRD peak list
Compound: ScBeTl2
Radiation: CuKα
Structure: a cell relaxed with GGA-PBE
Kinematic intensities with the Lorentz-polarization factor, no thermal factor.

Structural model:
abc: 3.3487 4.3403 6.1193
angles: 90.00 99.06 90.00
Space group Pm (No. 6)
Symmetry-distinct sites (fractional):
Sc1 0.0000 0.0000 0.0000 [1 per cell]
Be1 0.4660 0.5000 0.8328 [1 per cell]
Tl1 0.3232 0.0000 0.5668 [1 per cell]
Tl2 0.5923 0.5000 0.2584 [1 per cell]

The 12 most intense peaks (10° ≤ 2θ ≤ 80°), in order of rising 2θ:
2θ (°)  I/Imax  (hkl)
14.66  61  0 0 1
25.26  100  0 1 1
26.96  24  1 0 0
32.86  50  1 0 1
34.08  50  1 1 0
35.47  73  1 1 -1
36.22  75  0 1 2
37.01  33  1 0 -2
41.62  30  0 2 0
54.01  25  1 2 1
56.89  19  1 2 -2
61.37  19  1 1 3



[2]
Computed XRD peak list
Compound: CeCdInBi
Radiation: CuKα
Structure: a cell relaxed with GGA-PBE
Kinematic intensities with the Lorentz-polarization factor, no thermal factor.

Structural model:
abc: 4.5579 4.7029 5.0587
angles: 90.00 90.00 90.00
Space group Pmmm (No. 47)
Symmetry-distinct sites (fractional):
Ce1 0.0000 0.0000 0.0000 [1 per cell]
Cd1 0.0000 0.5000 0.5000 [1 per cell]
In1 0.5000 0.0000 0.5000 [1 per cell]
Bi1 0.5000 0.5000 0.0000 [1 per cell]

The 12 most intense peaks (10° ≤ 2θ ≤ 80°), in order of rising 2θ:
2θ (°)  I/Imax  (hkl)
17.53  4  0 0 1
32.59  100  1 1 1
35.49  20  0 0 2
38.28  16  0 2 0
39.54  15  2 0 0
53.18  12  0 2 2
54.17  12  2 0 2
56.21  11  2 2 0
61.90  16  1 1 3
65.63  13  1 3 1
67.37  12  3 1 1
68.26  12  2 2 2



[3]
Computed XRD peak list
Compound: Sc4SiBiC
Radiation: CuKα
Structure: a cell relaxed with GGA-PBE
Kinematic intensities with the Lorentz-polarization factor, no thermal factor.

Structural model:
abc: 6.2548 14.6183 6.2681
angles: 90.00 90.00 90.00
Space group Cmcm (No. 63)
Symmetry-distinct sites (fractional):
Sc1 0.0000 0.0868 0.2500 [4 per cell]
Sc2 0.0000 0.3995 0.2500 [4 per cell]
Sc3 0.2500 0.2500 0.0000 [8 per cell]
Si1 0.0000 0.1139 0.7500 [4 per cell]
Bi1 0.0000 0.3996 0.7500 [4 per cell]
C1 0.0000 0.2452 0.2500 [4 per cell]

The 12 most intense peaks (10° ≤ 2θ ≤ 80°), in order of rising 2θ:
2θ (°)  I/Imax  (hkl)
15.41  75  1 1 0
18.65  67  0 2 1
27.21  43  1 3 1
28.51  57  2 0 0
31.08  49  2 2 0
32.54  27  1 1 2
34.31  32  2 2 1
36.89  32  0 6 0
37.84  100  2 4 0
40.76  64  2 0 2
56.14  35  2 6 2
72.26  29  4 4 2



[4]
Computed XRD peak list
Compound: ZrZn6O6
Radiation: CuKα
Structure: a cell relaxed with GGA-PBE
Kinematic intensities with the Lorentz-polarization factor, no thermal factor.

Structural model:
abc: 5.7637 5.7637 5.7637
angles: 90.00 90.00 90.00
Space group Pm-3 (No. 200)
Symmetry-distinct sites (fractional):
Zr1 0.0000 0.0000 0.0000 [1 per cell]
Zn1 0.0000 0.2543 0.5000 [6 per cell]
O1 0.0000 0.5000 0.2471 [6 per cell]

The 12 most intense peaks (10° ≤ 2θ ≤ 80°), in order of rising 2θ:
2θ (°)  I/Imax  (hkl)
15.37  28  1 0 0
21.81  21  1 1 0
26.79  13  1 1 1
31.03  45  2 0 0
34.81  100  2 1 0
38.25  99  2 1 1
~~~
• The page goes on:
Parallel Ridges with Rough Texture and Residual Frost
This picture shows a set of parallel ridges trending from upper left to lower right, spaced about 250-500 meters (273-547 yards) from one another. The amplitude of these ridges is not known, but elsewhere they are less than 20 m (66 ft) high. The surface also has irregular, light-toned knobs that resemble large boulders or pinnacles.
Parallel Ridges and Mounds with Gullies and Irregular Pits
A large portion of the landing ellipse (and the majority of the area seen in this image) is covered by parallel ridges surmounted by isolated groups of gullies and pits. The gully systems typically extend less than 500 meters (547 yards), and are often only a few hundred meters across. These gullies do not show the integration normal for fluid erosion (i.e., they were not carved by running water); instead, they have the form of cracks and depressions expanded by wall- and head-enlargement by processes such as sapping (removal of wall support by fluid seepage or the evaporation of ground ice) or ablation (removal of ices by sublimation and wind).
Low Relief with Subtle Depressions and Small Knobs
Some areas show little or no topographic relief (i.e., the area is relatively flat with no hills, ridges, or gullies). One class of this type of surface displays small, subtle, isolated depressions and areas of the rough texture made up of light-toned patches of knobs that resemble large boulders or pinnacles.
Dark Sand Dunes and Bright Low Relief Surface with Gullies
• Here the piece breaks off for data records:
/*
# 1
Sr2ZnNi9: simulated powder diffractogram (Cu Kα (λ = 1.5418 Å)), based on a PBE-relaxed structure.
Lines closer than 0.1° are merged.

Atomic structure:
```
Sr2ZnNi9
1.0
2.4844 1.4344 8.3046
-2.4844 1.4344 8.3046
0.0000 -2.8688 8.3046
Sr Zn Ni
2 1 9
direct
0.1368 0.1368 0.1368
0.8632 0.8632 0.8632
0.0000 0.0000 0.0000
0.0807 0.5754 0.5754
0.3323 0.3323 0.3323
0.4246 0.4246 0.9193
0.4246 0.9193 0.4246
0.5000 0.5000 0.5000
0.5754 0.0807 0.5754
0.5754 0.5754 0.0807
0.6677 0.6677 0.6677
0.9193 0.4246 0.4246
```

Largest 10 diffraction maxima, in order of rising 2θ, 5 to 70 degrees two-theta:
2θ (°)	I_rel
32.65	28
35.59	35
36.15	35
42.16	37
42.40	100
42.64	16
43.59	18
45.24	20
45.94	33
69.31	21

---

# 2
SrZrNi: simulated powder diffractogram (Cu Kα (λ = 1.5418 Å)), based on a PBE-relaxed structure.
Lines closer than 0.1° are merged.

Atomic structure:
```
SrZrNi
1.0
3.8326 0.0000 0.0000
-1.9163 3.3191 0.0000
0.0000 0.0000 6.5981
Sr Zr Ni
1 1 1
direct
0.0000 0.0000 0.0000
0.6667 0.3333 0.5012
0.3333 0.6667 0.6794
```

Largest 10 diffraction maxima, in order of rising 2θ, 5 to 70 degrees two-theta:
2θ (°)	I_rel
13.42	19
27.03	17
30.14	100
38.47	35
47.44	29
49.73	24
55.45	14
57.24	16
62.66	8
62.92	6

---

# 3
Ta5Ni: simulated powder diffractogram (Cu Kα (λ = 1.5418 Å)), based on a PBE-relaxed structure.
Lines closer than 0.1° are merged.

Atomic structure:
```
Ta5Ni
1.0
10.2985 0.0000 0.0000
0.0000 3.3379 0.0000
-1.9638 0.0000 5.9945
Ta Ni
10 2
direct
0.0000 0.0000 0.0000
0.1617 0.5000 0.3348
0.1640 0.5000 0.8269
0.3360 0.0000 0.1731
0.3383 0.0000 0.6652
0.5000 0.5000 0.0000
0.6617 0.0000 0.3348
0.6640 0.0000 0.8269
0.8360 0.5000 0.1731
0.8383 0.5000 0.6652
0.0000 0.0000 0.5000
0.5000 0.5000 0.5000
```

Largest 10 diffraction maxima, in order of rising 2θ, 5 to 70 degrees two-theta:
2θ (°)	I_rel
14.78	5
28.25	4
38.59	100
39.30	95
39.64	46
39.86	46
55.02	19
56.41	16
58.53	15
69.92	18

---

# 4
TaNi: simulated powder diffractogram (Cu Kα (λ = 1.5418 Å)), based on a PBE-relaxed structure.
Lines closer than 0.1° are merged.

Atomic structure:
```
TaNi
1.0
2.8276 0.0000 0.0000
0.0000 4.4923 0.0000
0.0000 0.0000 9.1925
Ta Ni
4 4
direct
0.0000 0.2500 0.1143
0.0000 0.7500 0.8857
0.5000 0.2500 0.3857
0.5000 0.7500 0.6143
0.0000 0.2500 0.6392
0.0000 0.7500 0.3608
0.5000 0.2500 0.8608
0.5000 0.7500 0.1392
```

Largest 10 diffraction maxima, in order of rising 2θ, 5 to 70 degrees two-theta:
2θ (°)	I_rel
22.02	21
33.15	15
35.46	19
39.20	30
40.15	30
42.59	100
53.01	8
57.36	19
60.02	6
66.09	7

---

# 5
Ta3Ni: simulated powder diffractogram (Cu Kα (λ = 1.5418 Å)), based on a PBE-relaxed structure.
Lines closer than 0.1° are merged.

Atomic structure:
```
Ta3Ni
1.0
9.0515 0.0000 0.0000
-4.5257 7.8388 0.0000
0.0000 0.0000 2.8046
Ta Ni
9 3
direct
0.0000 0.5000 0.0000
0.1667 0.3333 0.3333
0.1667 0.8333 0.3333
0.3333 0.1667 0.6667
0.5000 0.0000 0.0000
0.5000 0.5000 0.0000
0.6667 0.8333 0.3333
0.8333 0.1667 0.6667
0.8333 0.6667 0.6667
0.0000 0.0000 0.0000
*/
The darkest surface in the landing ellipse, now seen without its seasonal bright frost cover, shows the unmistakable form of dark sand dunes. This image shows the margin of the dune field that crosses the center of the MOC image. Note that in some places the sand depth is shallow and the shape and slopes of the underlying features can be seen.
Weakly-organized Ridges/Mounds and Gullies/Depressions
The second-most abundant surface texture in this portion of the landing ellipse consists of poorly aligned ridges and depressions which occasionally display steep wall slopes. This surface appears rugged at the scale of tens of meters, but may be smoother at small scales(meters).
Smooth Surface with Occasional Ridges and Pits
The southern-most portion of the November 26th MOC image shows a pattern of small, isolated ridges and a few irregular depressions and pits. However, much of the surface is actually quite smooth compared to other portions of the landing ellipse.

Representative Features of the Central Landing Ellipse
The illustration above shows a summary of the landforms seen within the November 26thMOC image in different colors. It is clear that the smoothest surface (green at bottom of frame) is rare in this part of the landing ellipse. Sand dunes (black) and really rough terrain (orange) are also fairly rare. Much of the surface is ridged with either gullies or pits.